Listing >
/*
Density functional theory data (PBE-GGA) for crystalline Ta2GaH at its relaxed geometry.

Cell: 5.361 5.361 5.965 Å, 63.30 63.30 90.00°
Atoms (fractional coordinates):
Ga (0.000, 0.000, 0.000)
Ga (0.750, 0.250, 0.500)
Ta (0.375, 0.625, 0.750)
Ta (0.875, 0.625, 0.750)
Ta (0.375, 0.125, 0.250)
Ta (0.375, 0.625, 0.250)
H (0.250, 0.750, 0.500)
H (0.500, 0.500, 0.000)

Results
The symmetry is I4_1/amd (141). The total energy is -6.989 eV per atom. For the total magnetization, the calculation gives 0.0 Bohr magnetons per cell. The volume comes out at 132.36 Å³/cell.


Density functional theory data (PBE-GGA) for crystalline Ta3GaH3 at its relaxed geometry.

Cell: 5.614 5.614 6.879 Å, 65.92 65.92 60.00°
Atoms (fractional coordinates):
H (0.226, 0.867, 0.393)
H (0.514, 0.226, 0.393)
H (0.774, 0.133, 0.607)
H (0.133, 0.486, 0.607)
H (0.486, 0.774, 0.607)
H (0.867, 0.514, 0.393)
Ga (0.666, 0.666, 0.001)
Ga (0.334, 0.334, 0.999)
Ta (0.209, 0.596, 0.292)
Ta (0.404, 0.097, 0.708)
Ta (0.791, 0.404, 0.708)
Ta (0.903, 0.209, 0.292)
Ta (0.097, 0.791, 0.708)
Ta (0.596, 0.903, 0.292)

Results
The symmetry is R-3 (148). The total energy is -6.845 eV per atom. For the total magnetization, the calculation gives 0.0 Bohr magnetons per cell. The volume comes out at 165.60 Å³/cell.


Density functional theory data (PBE-GGA) for crystalline Ta2GaH at its relaxed geometry.

Cell: 2.872 4.838 4.838 Å, 62.30 72.95 72.95°
Atoms (fractional coordinates):
Ga (0.750, 0.750, 0.750)
Ta (0.934, 0.067, 0.067)
Ta (0.566, 0.434, 0.433)
H (0.250, 0.250, 0.250)

Results
The symmetry is C2/m (12). The total energy is -7.555 eV per atom. For the total magnetization, the calculation gives 0.0 Bohr magnetons per cell. The volume comes out at 55.91 Å³/cell.


Density functional theory data (PBE-GGA) for crystalline TaGaH2 at its relaxed geometry.

Cell: 3.820 3.820 6.511 Å, 72.94 72.94 90.00°
Atoms (fractional coordinates):
Ga (0.500, 0.500, 0.000)
Ga (0.250, 0.750, 0.500)
H (0.716, 0.125, 0.250)
H (0.375, 0.284, 0.750)
H (0.875, 0.966, 0.750)
H (0.034, 0.625, 0.250)
Ta (0.750, 0.250, 0.500)
Ta (0.000, 0.000, 0.000)

Results
The symmetry is I-42d (122). The total energy is -5.285 eV per atom. For the total magnetization, the calculation gives 0.0 Bohr magnetons per cell. The volume comes out at 86.43 Å³/cell.


Density functional theory data (PBE-GGA) for crystalline Ta4Ga2H at its relaxed geometry.

Cell: 2.966 7.555 9.710 Å, 90.00 90.00 90.00°
Atoms (fractional coordinates):
Ta (0.500, 0.302, 0.912)
Ta (0.000, 0.368, 0.184)
Ta (0.000, 0.632, 0.816)
Ta (0.500, 0.698, 0.088)
Ta (0.000, 0.132, 0.684)
Ta (0.000, 0.868, 0.316)
Ta (0.500, 0.198, 0.412)
Ta (0.500, 0.802, 0.588)
H (0.000, 0.500, 0.000)
H (0.000, 0.000, 0.500)
Ga (0.500, 0.563, 0.373)
Ga (0.500, 0.063, 0.127)
Ga (0.500, 0.437, 0.627)
Ga (0.500, 0.937, 0.873)

Results
The symmetry is Pbam (55). The total energy is -8.161 eV per atom. For the total magnetization, the calculation gives 0.0 Bohr magnetons per cell. The volume comes out at 217.56 Å³/cell.


Density functional theory data (PBE-GGA) for crystalline TaGaH2 at its relaxed geometry.

Cell: 2.932 2.932 6.675 Å, 77.31 77.31 60.00°
Atoms (fractional coordinates):
H (0.885, 0.885, 0.344)
H (0.115, 0.115, 0.656)
Ga (0.000, 0.000, 0.000)
Ta (0.500, 0.500, 0.500)

Results
The symmetry is R-3m (166). The total energy is -5.273 eV per atom. For the total magnetization, the calculation gives 0.0 Bohr magnetons per cell. The volume comes out at 48.07 Å³/cell.


Density functional theory data (PBE-GGA) for crystalline TaGa2H at its relaxed geometry.

Cell: 3.385 3.017 7.012 Å, 71.22 76.03 55.88°
Atoms (fractional coordinates):
Ga (0.692, 0.436, 0.179)
Ga (0.898, 0.698, 0.507)
Ta (0.122, 0.895, 0.860)
H (0.498, 0.233, 0.771)

Results
The symmetry is Cm (8). The total energy is -5.369 eV per atom. For the total magnetization, the calculation gives 0.0 Bohr magnetons per cell. The volume comes out at 55.97 Å³/cell.
*/

Brief >
Your job: copy only the last part of the entries above, starting with the line that has "(0.500, 0.437,".

Reply >
Ga (0.500, 0.437, 0.627)
Ga (0.500, 0.937, 0.873)

Results
The symmetry is Pbam (55). The total energy is -8.161 eV per atom. For the total magnetization, the calculation gives 0.0 Bohr magnetons per cell. The volume comes out at 217.56 Å³/cell.


Density functional theory data (PBE-GGA) for crystalline TaGaH2 at its relaxed geometry.

Cell: 2.932 2.932 6.675 Å, 77.31 77.31 60.00°
Atoms (fractional coordinates):
H (0.885, 0.885, 0.344)
H (0.115, 0.115, 0.656)
Ga (0.000, 0.000, 0.000)
Ta (0.500, 0.500, 0.500)

Results
The symmetry is R-3m (166). The total energy is -5.273 eV per atom. For the total magnetization, the calculation gives 0.0 Bohr magnetons per cell. The volume comes out at 48.07 Å³/cell.


Density functional theory data (PBE-GGA) for crystalline TaGa2H at its relaxed geometry.

Cell: 3.385 3.017 7.012 Å, 71.22 76.03 55.88°
Atoms (fractional coordinates):
Ga (0.692, 0.436, 0.179)
Ga (0.898, 0.698, 0.507)
Ta (0.122, 0.895, 0.860)
H (0.498, 0.233, 0.771)

Results
The symmetry is Cm (8). The total energy is -5.369 eV per atom. For the total magnetization, the calculation gives 0.0 Bohr magnetons per cell. The volume comes out at 55.97 Å³/cell.